TremaGene FAQ
Tremagene is our repository of available trematode genes & transcripts. Data is pulled from multiple sources: from collaborators, published datasets, and/or from internal assemblies that have been annotated for genes & gene-related features. Typically we only host the most current geneset available for each species, as versions change older data is removed. Almost all included gene-specific annotation (eg. IPR ids, Kegg identifiers, expression data, etc...) is run locally and stored in a backend MySQL db. Annotations are integrated with other site resources. Genes annotated with Kegg identifiers provide links into our TremaPath viewer, GO term annotations are linked into the GO Consortium term definitions, and so forth. And if the user drills down to view a single gene, that gene's sequence can be forwarded into our TremaBlast tool to search against our other hosted datasets
One of the more useful features of TremaGene is the ability to define a slice of the hosted data, and then download protein and/or nucleotide sequence (as available). Using the filters described below a user can define the set of genes they want, and then dump them into a fasta file for download. Subsets defined by specific annotations (eg. all F.hepatica genes annotated with the IPR id IPR006548) can be had, or users can choose to download protein fasta for an entire species (or multiple species) at once.
Searching TremaGene
# Calculated molecules, kept here for reference
-- begin --
77
Properties=species:S:1:pos:R:3:forces:R:3 method="wB97M-V/def2-TZVPD" e_tot_ev=-65398.5995 mol_weight_g_mol=611.56 charge=0 gap_ev=4.59 e_homo_ev=-6.838
H 0.604 0.469 -1.706 0.8 0.2 -1.0
C 3.356 0.993 -2.641 0.9 0.9 -1.1
C 4.636 0.208 -2.182 0.4 1.0 0.5
H 1.475 4.001 3.160 -1.1 0.7 0.0
H 1.081 1.888 -2.712 0.2 -1.3 -0.3
C -0.996 -0.815 -3.271 0.6 -4.4 -1.0
C -1.787 3.275 4.452 0.5 -0.3 -1.7
C -0.743 -2.236 -3.553 0.7 1.1 0.1
C 1.082 0.690 1.492 2.3 -0.8 -1.7
H -0.781 1.295 -3.899 0.7 -1.1 -0.1
C -0.155 1.209 2.360 0.5 -1.6 -1.0
H -0.446 3.183 1.210 -0.5 -0.9 0.5
C 0.945 -0.485 0.564 2.5 1.0 -0.3
O -3.478 0.255 -0.349 1.1 0.3 -2.2
H -2.155 3.808 3.516 0.1 -0.5 1.3
C -1.097 -0.086 2.549 0.4 1.2 0.3
H 3.031 1.795 -1.906 0.4 -1.3 -0.5
C -5.009 -2.314 -1.399 1.4 0.1 -0.1
O -1.855 -4.408 -2.965 -1.6 -0.6 -1.9
C 0.287 1.709 3.791 0.0 0.2 0.4
N 1.156 -4.018 -3.956 -1.2 1.8 0.9
H -0.012 -1.058 0.443 1.0 0.6 0.5
H 1.476 3.062 5.852 -1.1 0.3 0.0
H 2.604 2.228 2.177 -0.3 -1.2 -0.8
C 1.013 0.752 -2.732 -1.2 0.7 0.5
C -0.959 2.212 1.445 -0.5 -0.5 -0.3
H 4.570 1.440 0.714 -1.1 -0.6 0.0
H 0.625 5.206 4.224 -0.2 -0.7 -0.8
H -5.870 -3.036 -1.301 1.2 1.0 0.8
N -2.173 -0.839 -2.438 1.4 -1.6 -1.5
H 0.339 0.067 -4.757 -0.6 0.4 0.9
H -0.100 0.949 4.546 0.4 0.9 -0.9
C 0.407 -2.873 -4.415 -0.5 0.8 -0.8
F 0.813 -3.999 -1.573 1.1 0.4 -2.3
C -2.568 -2.162 -2.259 -1.2 -1.7 1.9
C -3.713 -2.799 -1.454 -1.1 0.8 0.1
H -2.087 3.849 5.371 0.3 -0.7 -0.9
C 1.695 -3.784 -2.619 0.6 0.0 0.4
N -1.737 -3.058 -2.924 0.3 6.2 0.7
H -5.204 -1.200 -1.394 0.0 -1.5 -0.8
H -1.999 2.347 1.881 1.3 0.2 -0.5
N -0.401 -3.861 1.895 0.4 -0.4 0.0
O 4.381 -0.738 -1.125 -0.9 1.2 0.2
N -3.046 -5.191 -5.068 0.0 0.4 0.6
H -4.180 0.792 -2.529 1.1 -0.2 -0.4
O -0.706 -5.029 1.588 -0.1 0.0 -0.2
O 0.722 -3.609 2.365 -0.1 0.2 0.0
C -0.120 0.381 -3.778 -0.3 -0.4 0.6
H -0.188 4.739 2.655 0.8 -0.4 0.7
C 2.430 1.338 1.504 -0.4 -1.2 -1.0
P -2.998 0.554 -1.746 -2.7 -0.1 3.6
H 0.090 4.310 6.138 0.6 -1.0 -0.2
H -0.236 2.547 6.411 1.1 0.7 -0.5
H -3.484 -3.708 -0.823 0.1 0.5 -1.6
O 2.812 -3.416 -2.463 -1.1 -0.7 0.3
H 1.921 -4.140 -4.633 -0.2 0.0 0.5
H 5.356 0.993 -1.771 -0.8 -0.7 -0.6
H -2.244 2.242 4.396 0.3 1.2 0.5
C -2.596 -4.766 -4.095 1.6 0.1 1.4
H 1.416 1.689 3.928 -1.3 0.0 -0.4
C 3.587 0.906 0.675 -2.5 -1.5 -0.5
H 1.922 -1.819 -0.979 0.5 1.2 1.0
H -1.128 1.687 0.448 0.3 0.5 1.1
H -0.494 -0.986 2.869 -0.8 1.0 -0.5
C 0.374 3.277 5.789 -1.3 -0.5 -0.6
H 5.198 -0.298 -3.019 -1.0 0.2 0.9
C 0.456 4.365 3.495 -0.1 -0.9 0.6
O 2.262 0.130 -3.011 -0.7 0.8 0.4
O -1.228 -2.934 1.726 -0.4 0.2 -0.4
C 2.085 -0.951 -0.284 -0.1 2.4 2.0
O 0.619 -2.358 -5.496 -0.1 -0.8 1.3
C -0.204 3.124 4.284 0.7 1.1 1.6
H 3.647 1.572 -3.583 -0.2 -0.6 1.0
H -1.833 0.196 3.360 0.5 -0.5 -1.0
H -1.633 -0.268 1.577 0.4 -0.1 1.2
H -2.223 1.748 -1.798 0.4 -0.9 -0.7
C 3.392 -0.239 -0.240 -2.2 -0.2 1.3



71
-- stop --
TremaGene can be searched using IPR, GO and/or KO id filters. First click on the [+] Expand label for the Species selection section and select 1 or more species to start your query. Note that if you select no species from the list, your query will be applied to all species in TremaGene (depending on the complexity of your query, this may take a long time to complete). After selecting the species to focus on, open the sections below to set specific filters you'd like to apply. You're able to request a specific gene name (or comma-delimited list of gene names), orthologous group name if such is available, IPR id, GO term and/or KO id. You are allowed to enter comma-delimited lists of any of those ids as well. Note that filtering on multiple ids of a single type will return genes/transcripts annotated by any of those ids. But if you set filters using 2 or more id types (i.e. IPR id + KO id), each gene or transcript returned will be required to have at least one id from each list you supplied.
You will then arrive at a page showing the slice of data you've retrieved from TremaGene. The Query Definition section now displays the query you made to extract the results below. Then the Data Download section allows you to download the full fasta for all the genes/transcripts you requested. Note that if the type of fasta you request (nucleotide or protein) doesn't exist for any of the genes or transcripts in your list, the output file will still display the gene name(s) as headers, but the sequence record for those will be empty. The Results section will list all the genes and/or transcripts in your return set, organized by species, then by group if available (typically groups built by software such as orthomcl or inparanoid). Each gene or transcript name is a link that will take you to a final detail page showing the available annotations for that entity. You will also be able to download that single entity, or forward its sequence into TremaBlast for further analysis.
Index of prefixes
Here is an index showing the version and organism gene name prefixes referenced in TremaGene:
Clonorchis sinensis (50HG assembly version: 3.5) CS1
Echinostoma caproni (50HG assembly version: 1.5.4) ECPE
Fasciola hepatica (50HG assembly version: 1.0)     D915
Opisthorchis viverrini (NCBI BioProject id:PRJNA222628) KER
Schistosoma curassoni (50HG assembly version: 1.0.4) SCUD
Schistosoma haematobium (50HG assembly version: 3.0) MS3
Schistosoma japonicum (50HG assembly version: 1.0) SJC
Schistosoma mansoni (50HG assembly version: 5.2) SMP
Schistosoma margrebowiei (50HG assembly version: 1.5.4) SMRZ
Schistosoma mattheei (50HG assembly version: 1.0.4) SMTD
Schistosoma rodhaini (50HG assembly version: 1.0.4) SROB
Trichobilharzia regenti (50HG assembly version: 1.0.4) TRE
TremaGene annotations
Annotations provided in TremaGene are:
InterPro id (IPR): "InterPro is a resource that provides functional analysis of protein sequences by classifying them into families and predicting the presence of domains and important sites. To classify proteins in this way, InterPro uses predictive models, known as signatures, provided by several different databases (referred to as member databases) that make up the InterPro consortium." (description lifted from the InterPro website)
Gene Ontology term (GO): GO is at the heart of a (largely successful) effort to standardize the descriptions of gene products across databases. The effort was founded by FlyBase, Saccharomyces Genome Database (SGD) and the Mouse Genome Database (MGD), but has now been adopted by many databases. GO terms form a controlled vocabulary that is a useful annotation for disseminating the function & localization of a gene.
Kegg identifier (K0): "KEGG is a database resource for understanding high-level functions and utilities of the biological system, such as the cell, the organism and the ecosystem, from molecular-level information, especially large-scale molecular datasets generated by genome sequencing and other high-throughput experimental technologies" (description lifted from KEGG website)
RNAseq based expression in FPKM: Gene expression per stage and/or tissue is described in terms of FPKM (Fragments Per Kilobase of exon per Million fragments mapped). Illumina RNAseq reads are mapped against a genome, and the htseq-count program is used to produce a number of reads hitting each coding exon in the reference. The total number of reads hitting coding exons per gene are summed, and then this formula is applied to get FPKM:
FPKM = number_reads_hitting_gene / (gene_legnth_in_Kbp * library_size)
where library_size is the sum of all reads mapped to the coding exons of all genes in all samples for the given stage or tissue in millions (i.e. the sum of all reads / 1000000)
Larger values mean more expression. Be aware that these values will be re-calculated when additional data for the given gene/stage(or tissue) combination is made available. This value represents the FPKM detected across all data we have for that gene and stage(or tissue) combination.